-- Wanted --
Write out the whole of the contents further down without additions.
-- Source --
+++
(1)
{"formula": "C18H25ClIOP2Rh", "method": "ωB97M-V/def2-TZVPD", "elements": ["C", "I", "H", "H", "H", "Rh", "P", "C", "C", "H", "H", "H", "C", "H", "H", "H", "H", "H", "H", "C", "O", "Cl", "C", "P", "C", "C", "C", "C", "C", "C", "C", "C", "C", "C", "C", "C", "H", "H", "H", "H", "H", "H", "H", "H", "H", "H", "H", "H", "H"], "coordinates": [[1.818789, 0.074019, -1.543615], [-1.086080, -2.987722, 0.562606], [2.234045, 0.831395, -0.871490], [1.356417, 0.529660, -2.421039], [2.592330, -0.630439, -1.863154], [0.475584, -0.962597, -0.471077], [2.260886, -2.505431, 0.179759], [2.271525, -3.890034, -0.998892], [3.956996, -1.819789, 0.077605], [2.156812, -2.442814, 2.574605], [3.254512, -3.722374, 1.966406], [1.473464, -3.964886, 1.943375], [2.279911, -3.237454, 1.835091], [4.029823, -0.946399, 0.738266], [4.649900, -2.605923, 0.411897], [3.117062, -4.548960, -0.766351], [2.377662, -3.497390, -2.016557], [4.188632, -1.534372, -0.954095], [1.324581, -4.433233, -0.916956], [-0.068148, -1.690540, -2.096979], [-0.364442, -2.137349, -3.118343], [1.288939, -0.014212, 1.616925], [-2.393641, 0.544983, -1.845930], [-1.194574, 0.648800, -0.479014], [-0.568369, 2.360910, -0.700876], [-0.479739, 3.312394, 0.320374], [-0.010745, 4.606605, 0.056945], [0.368415, 4.960102, -1.242858], [0.315101, 4.012251, -2.261201], [-0.153549, 2.722173, -1.996796], [-2.245178, 0.423744, 1.004902], [-3.436150, -0.312763, 0.932902], [-4.172039, -0.590004, 2.084294], [-3.723011, -0.146083, 3.329808], [-2.513074, 0.546110, 3.420270], [-1.777378, 0.817637, 2.266032], [-1.887731, 0.796313, -2.781876], [-3.183916, 1.276497, -1.632040], [-2.775443, -0.476417, -1.911101], [-0.790538, 3.035844, 1.325026], [0.052995, 5.346333, 0.855579], [0.697706, 5.977231, -1.461616], [0.631237, 4.267350, -3.274550], [-0.207391, 1.997145, -2.805373], [-3.776929, -0.688309, -0.030775], [-5.102947, -1.153754, 2.003314], [-4.316149, -0.337393, 4.224051], [-2.134606, 0.884296, 4.383954], [-0.811555, 1.304849, 2.348568]], "forces_ev_per_angstrom": [[0.8058, 0.1755, -1.3282], [0.0653, 0.4501, -0.1198], [-0.1684, -0.2182, -0.0876], [0.2598, -0.0227, 0.0666], [-0.1211, 0.4954, -0.1212], [0.0131, -0.8481, 4.3275], [1.2325, -0.3029, -0.1955], [0.2387, -0.0118, 0.2408], [-0.2948, -0.0163, -0.0341], [0.0374, -0.1704, -0.0539], [-0.2780, -0.0324, 0.0995], [0.1108, -0.0482, 0.0986], [-0.0368, 0.0073, -0.0080], [0.0534, -0.2313, -0.1855], [-0.1187, 0.2904, -0.1483], [-0.2305, -0.0142, -0.1942], [-0.0150, -0.1457, 0.1441], [0.1191, -0.0649, 0.2907], [0.2010, -0.0565, -0.1045], [-1.3683, -2.3984, -5.5449], [0.6736, 1.1239, 2.3162], [0.0212, 0.4982, 0.4039], [0.2366, 0.3189, 0.1585], [-0.9935, 0.9336, 0.2267], [-0.7934, 0.1382, 1.2169], [-0.4961, -2.1937, -0.2047], [0.4440, 1.1030, -0.3120], [0.2687, 0.0363, -1.2704], [0.6332, 2.2591, 0.2559], [-0.3849, -1.0995, 0.4448], [0.3713, 0.3641, 0.4339], [0.0801, -0.0807, -0.3288], [0.0494, -0.0431, 0.0529], [0.0911, 0.0804, -0.1132], [-0.1005, 0.0244, -0.2075], [-0.1356, 0.0334, 0.0054], [-0.2663, -0.1693, 0.0156], [-0.0042, -0.3554, -0.2811], [-0.0610, 0.2077, -0.1084], [0.0329, 0.2107, -0.1911], [-0.0632, -0.2051, -0.1438], [-0.0444, -0.3574, 0.0995], [-0.0949, -0.0014, 0.3194], [0.0395, 0.2187, 0.0896], [-0.1730, 0.1458, 0.2617], [0.2818, 0.1909, 0.0248], [0.1975, 0.0065, -0.2405], [-0.1237, -0.1240, -0.2161], [-0.1915, -0.1009, 0.1493]], "mulliken_spin": [0.09, 0.92, 0.01, -0.01, -0.01, 1.08, 0.19, 0.02, 0.02, 0.00, 0.01, 0.00, 0.02, 0.00, 0.01, 0.01, 0.00, 0.00, -0.01, 0.06, 0.01, 0.38, -0.01, 0.18, 0.00, 0.19, 0.25, 0.07, 0.18, 0.20, -0.02, 0.04, 0.01, 0.01, 0.00, -0.01, 0.00, 0.00, 0.00, 0.06, -0.01, 0.01, 0.00, 0.04, 0.00, 0.00, 0.00, 0.00, 0.03], "orbital_gap_ev": [5.342, 3.608], "charge": 2, "largest_force_ev_per_a": 6.19, "spin_multiplicity": 5, "energy_ha": -2326.56795, "relative_energy_ev": 0.000}

---

(2)
+++
-- Here it is --
(1)
{"formula": "C18H25ClIOP2Rh", "method": "ωB97M-V/def2-TZVPD", "elements": ["C", "I", "H", "H", "H", "Rh", "P", "C", "C", "H", "H", "H", "C", "H", "H", "H", "H", "H", "H", "C", "O", "Cl", "C", "P", "C", "C", "C", "C", "C", "C", "C", "C", "C", "C", "C", "C", "H", "H", "H", "H", "H", "H", "H", "H", "H", "H", "H", "H", "H"], "coordinates": [[1.818789, 0.074019, -1.543615], [-1.086080, -2.987722, 0.562606], [2.234045, 0.831395, -0.871490], [1.356417, 0.529660, -2.421039], [2.592330, -0.630439, -1.863154], [0.475584, -0.962597, -0.471077], [2.260886, -2.505431, 0.179759], [2.271525, -3.890034, -0.998892], [3.956996, -1.819789, 0.077605], [2.156812, -2.442814, 2.574605], [3.254512, -3.722374, 1.966406], [1.473464, -3.964886, 1.943375], [2.279911, -3.237454, 1.835091], [4.029823, -0.946399, 0.738266], [4.649900, -2.605923, 0.411897], [3.117062, -4.548960, -0.766351], [2.377662, -3.497390, -2.016557], [4.188632, -1.534372, -0.954095], [1.324581, -4.433233, -0.916956], [-0.068148, -1.690540, -2.096979], [-0.364442, -2.137349, -3.118343], [1.288939, -0.014212, 1.616925], [-2.393641, 0.544983, -1.845930], [-1.194574, 0.648800, -0.479014], [-0.568369, 2.360910, -0.700876], [-0.479739, 3.312394, 0.320374], [-0.010745, 4.606605, 0.056945], [0.368415, 4.960102, -1.242858], [0.315101, 4.012251, -2.261201], [-0.153549, 2.722173, -1.996796], [-2.245178, 0.423744, 1.004902], [-3.436150, -0.312763, 0.932902], [-4.172039, -0.590004, 2.084294], [-3.723011, -0.146083, 3.329808], [-2.513074, 0.546110, 3.420270], [-1.777378, 0.817637, 2.266032], [-1.887731, 0.796313, -2.781876], [-3.183916, 1.276497, -1.632040], [-2.775443, -0.476417, -1.911101], [-0.790538, 3.035844, 1.325026], [0.052995, 5.346333, 0.855579], [0.697706, 5.977231, -1.461616], [0.631237, 4.267350, -3.274550], [-0.207391, 1.997145, -2.805373], [-3.776929, -0.688309, -0.030775], [-5.102947, -1.153754, 2.003314], [-4.316149, -0.337393, 4.224051], [-2.134606, 0.884296, 4.383954], [-0.811555, 1.304849, 2.348568]], "forces_ev_per_angstrom": [[0.8058, 0.1755, -1.3282], [0.0653, 0.4501, -0.1198], [-0.1684, -0.2182, -0.0876], [0.2598, -0.0227, 0.0666], [-0.1211, 0.4954, -0.1212], [0.0131, -0.8481, 4.3275], [1.2325, -0.3029, -0.1955], [0.2387, -0.0118, 0.2408], [-0.2948, -0.0163, -0.0341], [0.0374, -0.1704, -0.0539], [-0.2780, -0.0324, 0.0995], [0.1108, -0.0482, 0.0986], [-0.0368, 0.0073, -0.0080], [0.0534, -0.2313, -0.1855], [-0.1187, 0.2904, -0.1483], [-0.2305, -0.0142, -0.1942], [-0.0150, -0.1457, 0.1441], [0.1191, -0.0649, 0.2907], [0.2010, -0.0565, -0.1045], [-1.3683, -2.3984, -5.5449], [0.6736, 1.1239, 2.3162], [0.0212, 0.4982, 0.4039], [0.2366, 0.3189, 0.1585], [-0.9935, 0.9336, 0.2267], [-0.7934, 0.1382, 1.2169], [-0.4961, -2.1937, -0.2047], [0.4440, 1.1030, -0.3120], [0.2687, 0.0363, -1.2704], [0.6332, 2.2591, 0.2559], [-0.3849, -1.0995, 0.4448], [0.3713, 0.3641, 0.4339], [0.0801, -0.0807, -0.3288], [0.0494, -0.0431, 0.0529], [0.0911, 0.0804, -0.1132], [-0.1005, 0.0244, -0.2075], [-0.1356, 0.0334, 0.0054], [-0.2663, -0.1693, 0.0156], [-0.0042, -0.3554, -0.2811], [-0.0610, 0.2077, -0.1084], [0.0329, 0.2107, -0.1911], [-0.0632, -0.2051, -0.1438], [-0.0444, -0.3574, 0.0995], [-0.0949, -0.0014, 0.3194], [0.0395, 0.2187, 0.0896], [-0.1730, 0.1458, 0.2617], [0.2818, 0.1909, 0.0248], [0.1975, 0.0065, -0.2405], [-0.1237, -0.1240, -0.2161], [-0.1915, -0.1009, 0.1493]], "mulliken_spin": [0.09, 0.92, 0.01, -0.01, -0.01, 1.08, 0.19, 0.02, 0.02, 0.00, 0.01, 0.00, 0.02, 0.00, 0.01, 0.01, 0.00, 0.00, -0.01, 0.06, 0.01, 0.38, -0.01, 0.18, 0.00, 0.19, 0.25, 0.07, 0.18, 0.20, -0.02, 0.04, 0.01, 0.01, 0.00, -0.01, 0.00, 0.00, 0.00, 0.06, -0.01, 0.01, 0.00, 0.04, 0.00, 0.00, 0.00, 0.00, 0.03], "orbital_gap_ev": [5.342, 3.608], "charge": 2, "largest_force_ev_per_a": 6.19, "spin_multiplicity": 5, "energy_ha": -2326.56795, "relative_energy_ev": 0.000}

---

(2)